== Wanted ==
Retype only the lines underneath with the word "with" in them.
== Given ==
=====
A cluster of 3 separate species, C2H8O2 in total at a distorted geometry, computed with the ωB97M-V functional and the def2-TZVPD basis.

```
12
Properties=species:S:1:pos:R:3:forces:R:3:nbo_charge:R:1
O -0.021 -2.902 -0.122 -0.1 0.2 0.0 -0.991
H 0.240 -2.897 0.803 0.0 -0.2 0.0 0.450
H 0.507 -2.138 -0.479 0.0 -0.5 0.2 0.485
H -2.794 1.175 2.443 0.0 0.0 0.0 0.012
C 0.532 0.175 -0.593 1.4 -0.5 -2.6 -0.211
O 1.390 -0.797 -0.661 -0.2 0.0 0.3 -0.696
C 0.942 1.509 -0.876 -0.9 0.7 2.6 -0.016
H 0.162 0.296 0.471 -0.4 0.8 0.0 0.348
H -0.400 0.078 -1.219 -0.4 -0.5 0.5 0.243
H 0.184 2.296 -0.855 0.1 -0.1 -0.3 0.186
H 1.953 1.809 -0.656 0.5 0.1 -0.8 0.202
H -2.696 1.397 1.743 0.0 0.0 0.0 -0.012
```
Positions in Å, forces in eV/Å.

Results
Orbital gap: 7.1 eV
M: 64.08 Da
HOMO level: -9.55 eV
ΔE to the lowest compared entry with this formula, charge and spin: 5.082 eV
Calculated total energy: -231.27554 Ha


(1)
Molecular formula: C44H56N3O4PbSSbSi3
Method: DFT, ωB97M-V with the def2-TZVPD basis set

## Properties
- frontier orbital gap (alpha / beta) (eV) = 6.37 / 5.98

Positions of all 113 atoms, in Å:
Pb 0.212373 -0.067125 0.492735
O -0.022219 -3.593488 -2.244963
C 0.287964 -2.406073 -2.174042
O -0.585072 -1.450011 -1.994265
C 1.788968 -2.110019 -2.327980
C 2.627077 -3.178235 -2.722316
C 3.956376 -2.947514 -2.898969
C 4.486844 -1.670941 -2.606856
C 5.863914 -1.358580 -2.696995
C 6.322598 -0.132988 -2.308190
C 5.423188 0.844086 -1.824137
C 4.084619 0.586360 -1.774014
C 3.584852 -0.678670 -2.168788
N 2.239339 -0.903340 -2.101766
H 2.168829 -4.147327 -2.866889
H 4.618129 -3.731632 -3.253745
H 6.550768 -2.119594 -3.053899
H 7.382421 0.089202 -2.347535
H 5.808719 1.798901 -1.486482
H 3.378973 1.320364 -1.399120
O 2.949242 -1.584361 0.743666
S 3.454195 -0.530764 1.594955
O 4.596086 0.219120 1.143315
N 2.178673 0.377373 1.916691
C 2.131054 1.386653 2.861751
C 3.174877 1.808529 3.673907
C 2.978529 2.777262 4.674656
C 1.757366 3.344977 4.893484
C 0.670271 2.976470 4.075163
C -0.626646 3.510940 4.238869
C -1.640279 3.129400 3.407400
C -1.365207 2.203611 2.392058
N -0.175480 1.673647 2.213764
C 0.853842 2.025075 3.040697
C 3.914240 -1.281070 3.136898
C 2.964808 -2.002891 3.847469
C 3.313875 -2.560352 5.066270
C 4.602903 -2.395423 5.561826
C 5.550710 -1.685254 4.835108
C 5.207202 -1.123509 3.613856
H 4.154115 1.380933 3.521685
H 3.820193 3.060984 5.295809
H 1.613465 4.079261 5.677324
H -0.802778 4.223726 5.037803
H -2.641002 3.528498 3.509803
H -2.145476 1.873252 1.708789
H 1.968320 -2.129824 3.434236
H 2.583667 -3.124803 5.633365
H 4.869532 -2.828332 6.518227
H 6.554757 -1.569684 5.222287
H 5.919730 -0.566301 3.016443
C -4.434415 1.331112 -3.180417
Si -3.476820 0.123724 -2.096741
C -4.285134 0.179835 -0.404269
C -3.561675 -1.587458 -2.834533
Sb -1.050581 1.069037 -1.921623
Si -1.510499 3.649855 -1.649827
C -2.122863 4.506513 -3.212799
C -2.751258 4.030583 -0.283266
C 0.127818 4.450578 -1.186050
Si -0.203725 0.954870 -4.385174
C 0.366687 -0.674750 -5.100769
C -1.690010 1.442667 -5.432793
C 1.122428 2.260407 -4.583493
H -5.488970 1.033838 -3.228666
H -4.043855 1.348446 -4.202077
H -4.385888 2.350689 -2.781500
H -5.298150 -0.237763 -0.440191
H -4.351620 1.207203 -0.027463
H -3.705761 -0.402031 0.311959
H -4.503988 -2.077976 -2.566666
H -2.732579 -2.196437 -2.463609
H -3.481670 -1.548428 -3.926117
H -3.200555 4.370727 -3.353024
H -1.618039 4.136814 -4.111500
H -1.924208 5.582091 -3.134957
H -3.617295 3.360380 -0.318253
H -3.120752 5.056713 -0.385652
H -2.287574 3.934048 0.702803
H 0.896600 4.239120 -1.938441
H 0.493739 4.081007 -0.220208
H 0.021045 5.539003 -1.113345
H -0.208383 -1.514170 -4.697155
H 1.420287 -0.865526 -4.891658
H 0.226772 -0.651838 -6.186484
H -2.381879 0.597847 -5.528008
H -1.353261 1.717624 -6.439504
H -2.248405 2.290231 -5.020508
H 1.960827 2.083625 -3.914379
H 0.728089 3.262863 -4.377330
H 1.507882 2.252097 -5.610430
C -0.910083 -2.737464 2.895291
C -2.115599 -1.992546 2.256563
C -2.626899 -0.984509 3.295522
=====
== Here it is ==
A cluster of 3 separate species, C2H8O2 in total at a distorted geometry, computed with the ωB97M-V functional and the def2-TZVPD basis.
ΔE to the lowest compared entry with this formula, charge and spin: 5.082 eV
Method: DFT, ωB97M-V with the def2-TZVPD basis set